GMSAutocompleteViewController want to get text which is in searchbar on search click - ios

Molecular data from another source follow =
+++
C14H21NO4 | ωB97M-V/def2-TZVPD

Positions of all 40 atoms, in Å:
1 C 4.24 4.47 1.78
2 C 3.60 4.39 0.40
3 O 4.10 3.33 -0.39
4 C 3.59 2.05 -0.10
5 C 2.22 1.79 -0.75
6 C 1.77 0.35 -0.52
7 N 0.51 0.09 -1.17
8 C 0.39 -0.72 -2.24
9 O 1.30 -1.35 -2.73
10 C -1.04 -0.75 -2.82
11 O -2.04 -0.44 -1.89
12 C -2.38 -1.39 -0.95
13 C -3.52 -1.13 -0.20
14 C -3.94 -2.02 0.77
15 C -3.23 -3.19 1.00
16 O -3.56 -4.14 1.93
17 C -4.73 -3.96 2.68
18 C -2.08 -3.44 0.26
19 C -1.65 -2.55 -0.71
20 H 3.90 5.37 2.29
21 H 3.98 3.61 2.39
22 H 5.32 4.51 1.69
23 H 2.51 4.33 0.49
24 H 3.85 5.30 -0.17
25 H 4.32 1.35 -0.52
26 H 3.53 1.88 0.98
27 H 1.48 2.48 -0.34
28 H 2.30 1.99 -1.82
29 H 1.67 0.15 0.55
30 H 2.49 -0.34 -0.95
31 H -0.31 0.60 -0.87
32 H -1.20 -1.73 -3.29
33 H -1.10 0.02 -3.59
34 H -4.07 -0.23 -0.39
35 H -4.84 -1.79 1.33
36 H -4.80 -4.83 3.33
37 H -5.62 -3.90 2.05
38 H -4.67 -3.06 3.31
39 H -1.53 -4.34 0.45
40 H -0.75 -2.77 -1.26

## Properties
Frontier orbital gap = 8.9 eV
SMILES string = CCOCCCNC(=O)COc1ccc(OC)cc1
DFT total energy = -24538.1850 eV
Molecular weight = 267.325 g mol⁻¹

Mulliken population analysis, charges in e, atoms 1 to 5: number 1, C, carries -1.095; number 2, C, carries -0.144; number 3, O, carries -0.376; number 4, C, carries -0.454; number 5, C, carries -0.220

=====

C16H43BFN8O6P2 | ωB97M-V/def2-TZVPD

Properties
LUMO: 2.23 eV

Structure (ORCA input):
```
! wB97M-V def2-TZVPD RIJCOSX def2/J DEFGRID3
* xyz -1 1
N 6.23 -5.00 1.29
B 5.79 -4.58 -0.03
O 6.76 -4.37 -1.02
N 4.38 -4.38 -0.40
C 3.83 -5.73 -0.75
C 2.42 -5.96 -0.14
O 1.45 -5.60 -0.85
O 2.40 -6.47 0.99
C 3.60 -3.72 0.64
C 4.22 -2.38 0.98
O 4.89 -2.07 1.90
F 3.84 -1.46 0.06
H 6.44 -4.25 1.92
H 5.60 -5.67 1.71
H 6.94 -3.43 -1.12
H 3.80 -5.82 -1.83
H 4.50 -6.52 -0.39
H 2.60 -3.47 0.29
H 3.56 -4.27 1.58
O -1.40 0.13 -0.77
P -1.09 -1.17 -1.46
N -2.65 -1.88 -1.56
C -2.90 -3.30 -1.72
C -3.57 -1.12 -2.40
N -0.15 -1.93 -0.22
C -0.68 -3.03 0.57
C 0.52 -1.01 0.69
N -0.35 -2.13 -2.73
C 0.88 -2.91 -2.48
C -0.11 -1.27 -3.92
H -2.67 -3.67 -2.73
H -3.96 -3.49 -1.54
H -2.37 -3.91 -1.01
H -3.34 -1.24 -3.47
H -3.52 -0.06 -2.16
H -4.59 -1.45 -2.24
H -1.63 -2.77 1.07
H 0.04 -3.32 1.33
H -0.82 -3.93 -0.03
H -0.14 -0.64 1.48
H 0.94 -0.15 0.17
H 1.35 -1.54 1.16
H 1.67 -2.35 -1.99
H 1.27 -3.25 -3.45
H 0.68 -3.81 -1.91
H 0.68 -0.53 -3.74
H -1.02 -0.72 -4.18
H 0.16 -1.87 -4.78
O -0.69 5.69 3.15
P -1.27 5.14 1.89
N -1.74 6.57 1.07
C -2.74 6.63 0.02
C -0.61 7.42 0.72
N -2.66 4.32 2.57
C -4.00 4.86 2.40
C -2.48 3.94 3.97
N -1.22 4.11 0.48
C -1.98 2.86 0.40
C 0.19 3.79 0.16
H -2.40 6.21 -0.93
H -2.99 7.68 -0.16
H -3.67 6.16 0.30
H -0.03 7.02 -0.13
H 0.07 7.54 1.57
H -0.95 8.42 0.43
H -4.09 5.89 2.75
H -4.71 4.24 2.96
H -4.33 4.79 1.37
H -2.66 4.77 4.65
H -1.49 3.55 4.15
H -3.20 3.15 4.21
H -1.86 2.22 1.27
H -1.65 2.29 -0.47
H -3.04 3.05 0.23
H 0.64 3.12 0.90
H 0.79 4.71 0.13
H 0.27 3.32 -0.82
*
```
+++

Hi i have used GMSAutocompleteViewController full-screen control.
i am not able to get keyboard search click event tried by searchbar event and textfieldshouldreturn event but it is not called. i want to get text which i have typed when any location not found in google.

From the Google Places API documentation..
Use a results controller when you want more control over the text input UI
You can not access search bar if you are using GMSAutocompleteViewController. You have to use GMSAutocompleteResultsViewController.

### Inserted here: quantum chemistry results
- - -
ORCA calculation (ωB97M-V with the def2-TZVPD basis set) on C2H4ClNO2 in the gas phase in a non-equilibrium geometry.

Output
- SMILES = [H]/N=C(\Cl)C(O)O
- relative energy (zero: lowest compared OMol25 entry of this formula, charge and spin) (eV) = 0.9995
- max |F| (eV/A) = 3.6
- 2S+1 = 1
- total energy (Eh) = -743.99823
- highest occupied orbital energy (eV) = -10.7
- E_LUMO (eV) = 0.83

```
10
Properties=species:S:1:pos:R:3:forces:R:3:nbo_charge:R:1
H -0.96680 -2.04622 -0.86198 -1.228 -0.677 -0.107 0.38
N -0.43708 -1.22729 -0.72449 0.841 -1.467 -0.963 -0.67
C -0.85737 -0.18921 -0.23870 -0.804 1.680 0.591 0.28
Cl -2.46556 0.18694 0.25875 -0.218 -0.024 0.056 0.01
C 0.27245 0.77641 0.13191 0.576 0.388 -1.302 0.30
O 0.39711 0.48975 1.47426 2.416 -0.968 2.484 -0.74
O 1.29268 0.42381 -0.70431 1.952 -0.453 -0.519 -0.73
H 0.30547 1.86691 0.01538 -1.437 -0.107 -0.019 0.17
H 1.32906 0.19307 1.75571 -2.020 0.782 -1.104 0.50
H 1.13004 -0.47418 -1.10654 -0.079 0.845 0.883 0.50
```
Forces are in eV/Å.


11 unconnected molecules or ions with the total composition C41H110N16O17 at a distorted geometry. Source: the OMol25 dataset; level of theory: wB97M-V/def2-TZVPD.

As for the total charge: +1. The spin multiplicity is 2. Its HOMO-LUMO gap (alpha / beta) is 7.53 / 2.84 eV. For the HOMO energy (alpha / beta), the calculation gives -0.364 / -0.364 hartree. The value obtained for the electronic energy is -3782.7398 a.u. Its expectation value of S² is 0.754.

Geometry as XYZ:
```
184
Properties=species:S:1:pos:R:3:lowdin_spin:R:1
C 39.16660 0.83123 -8.85996 0.00
O 38.28164 0.32350 -7.93934 0.00
C 38.82297 0.04376 -6.59607 0.00
C 37.55797 0.23119 -5.75151 0.00
N 36.55051 -0.80397 -5.86276 0.00
C 35.26334 -0.16368 -5.66257 0.00
C 34.10952 -1.19816 -5.82398 0.00
O 33.71503 -1.44225 -7.15007 0.00
C 32.42606 -1.58197 -7.48273 0.00
H 40.00365 0.13314 -8.84885 0.00
H 39.48800 1.79626 -8.46813 0.00
H 38.79961 0.82190 -9.88627 0.00
H 39.60320 0.74744 -6.30593 0.00
H 39.31290 -0.92331 -6.48275 0.00
H 37.17074 1.22045 -5.99550 0.00
H 37.91826 0.26740 -4.72343 0.00
H 36.56489 -1.18107 -6.79961 0.00
H 35.03864 0.50445 -6.49396 0.00
H 35.16013 0.22333 -4.64883 0.00
H 33.26216 -0.87012 -5.22193 0.00
H 34.35933 -2.16325 -5.38319 0.00
H 31.79679 -2.37958 -7.08782 0.00
H 32.21157 -1.54452 -8.55076 0.00
H 31.97813 -0.63087 -7.19487 0.00
C 42.15769 4.30228 0.48437 0.00
O 41.88551 2.87419 0.60524 0.00
C 42.78940 2.04236 -0.13255 0.00
C 42.28197 1.74968 -1.55995 0.00
N 40.93675 1.18445 -1.30898 0.00
C 40.07544 0.89344 -2.47325 0.00
C 40.83344 0.15338 -3.61646 0.00
O 41.50755 1.17957 -4.36332 0.00
C 42.31987 0.76605 -5.46697 0.00
H 41.41614 4.87891 1.03727 0.00
H 42.26379 4.72812 -0.51338 0.00
H 43.06884 4.49535 1.05060 0.00
H 42.91046 1.14652 0.47648 0.00
H 43.76912 2.52004 -0.12365 0.00
H 43.01065 1.06346 -1.99151 0.00
H 42.17474 2.63828 -2.18204 0.00
H 40.43740 1.93856 -0.85944 0.00
H 39.61272 1.80375 -2.85445 0.00
H 39.33302 0.21761 -2.04879 0.00
H 40.21802 -0.55978 -4.16488 0.00
- - -
### So much for the quantum chemistry results

Make sure you have put your provideAPIKey.

try removing restriction of the api from the console
it helped me.


iOS Custom keyboard - Not able to move focus to and fro between custom keyboard's search field and the third party app’s search field

We are designing a custom keyboard on iOS with a TextField (Search Field) on it.
Problem - Not able to move the focus to and fro between our custom keyboard's search field and the third party app’s search field.
when the focus comes to the custom keyboard search field it never goes back to the Parent App's search field.
PS: I have seen the keyboard apps like Popkey and Fleksy successfully doing this.
I could find out a workaround to achieve required functionality by keeping a Label instead of textField. With this work around we don't have to worry about the focus issue. Once user starts typing, we need to catch the event and update the text in label.
Hope this will help if some one is still looking for a solution to this problem.

How can I add selectable suggestion on textfield

I'm not sure if I use the phrase correctly.
The function I want is that after user typed some characters (or clicked a button), a list will be shown under the textfield.
An easy example is Google search. After you typed "fb" or "faceb", it shows "facebook" in the suggestion list.
The content of the list is stored in an array, which comes from the return of web services.
You've got to intercept the keystrokes with UITextView textViewDidChange. Then, with each keystroke, you implement the lookup algorithm and display your list of selections above or below the UITextView where the data entry is occurring. The list has to somehow be "touchable" to select from it.
Ray Wenderlich has a tutorial that shows how this can be done over at his blog
He creates a table below the text field that is touchable.
There is also a sample project there.

Windows Phone Application Bar TextBox

I was wondering, if it is somehow possible to add a TextBox in the Application Bar area (the same way the Internet Explorer does), but I didn't find any information source about this. Have you any idea, how to accomplish this task?
You will not be able to add UIElements inside ApplicationBar as it is not derived from UIElement.
Alternatively, you can try adding a Grid at the bottom of the screen and color it similar to the ApplicationBar. Then add a TextBlock inside the Grid. This is just a workaround and not recommended as it is not according to the standards.
You can also check the following link:

Adding actions for selected text

== What comes next are records of molecules, not part of the text ==
The following is a quantum chemistry calculation of the molecule C5H10O, from the OMol25 dataset.

Structure (XYZ):
```
16
C5H10O | the OMol25 dataset | wB97M-V/def2-TZVPD
O -1.62 1.43 -0.77
C -0.74 -0.71 0.08
C -1.44 0.60 0.37
C 1.48 0.49 -0.70
C 0.69 -0.76 -0.39
C 0.35 -1.16 1.02
H 2.55 0.29 -0.72
H 1.31 1.28 0.04
H 0.62 -0.47 1.81
H 0.91 -1.59 -1.06
H 1.19 0.89 -1.69
H -1.38 -1.49 -0.33
H -0.89 1.15 1.14
H -0.86 2.01 -0.81
H 0.41 -2.21 1.30
H -2.44 0.40 0.78
```

For the total energy, the calculation gives -271.70966 Ha. The calculation puts the LUMO energy at 1.03 eV. As for the total charge: 0. As for the SMILES: C[C@H]1C[C@H]1CO. The calculation puts the HOMO energy at -10.036 eV. Its spin multiplicity is 1.

=====

The following is a quantum chemistry calculation of a structure of composition C39H37I2N4O7RuS in a non-equilibrium geometry, from the OMol25 dataset.

Structure (XYZ):
```
91
C39H37I2N4O7RuS | the OMol25 dataset | wB97M-V/def2-TZVPD
I 3.47 -8.33 -1.62
I 5.53 -3.61 1.30
Ru 1.22 -1.05 -0.25
S -0.35 -3.00 2.10
O 0.53 -2.65 3.19
O 0.69 2.92 -0.17
O 2.76 -2.36 0.08
O -1.36 -0.92 -1.34
O 2.61 0.36 0.96
O -0.33 -4.38 1.62
O -0.02 -2.05 0.92
N 0.10 0.75 -0.62
N 1.52 -1.97 -2.31
N 3.15 -0.50 -4.25
N -2.12 1.19 -1.04
C -3.54 5.52 -1.29
C -2.03 -2.53 2.48
C -1.65 2.29 -0.24
C -2.93 1.38 1.83
C 3.81 1.80 -4.15
C 2.55 2.21 -3.85
C 1.00 -1.24 -3.49
C 3.50 1.03 0.08
C -3.00 -3.01 1.59
C 3.22 0.18 2.21
C -2.06 3.54 3.28
C 3.30 -6.32 -1.08
C 1.04 -3.40 -2.09
C -3.02 4.46 -0.50
C -3.30 1.53 3.17
C -1.13 0.27 -1.03
C 4.08 0.46 -4.45
C 1.95 -0.09 -3.80
C 4.38 1.92 0.98
C 4.05 -4.36 0.11
C -6.08 -1.50 3.16
C -3.13 5.66 -2.61
C -2.10 4.87 -3.02
C -4.65 -1.96 2.94
C -1.73 3.38 1.99
C 4.19 -5.72 -0.21
C 3.00 -3.55 -0.45
C -2.80 2.60 3.90
C -0.17 2.08 -0.29
C -2.04 3.61 -0.98
C -2.33 -1.81 3.60
C -1.59 3.84 -2.26
C 1.61 1.26 -3.58
C 2.15 -4.18 -1.39
C -4.35 -2.69 1.82
C -3.70 -1.61 3.90
C 2.31 -5.53 -1.65
C 4.03 1.46 2.43
C -2.07 2.26 1.20
H -3.02 2.62 4.99
H -3.39 4.32 0.52
H -3.10 0.92 -1.11
H 4.06 0.24 -0.42
H 2.39 0.02 2.92
H -1.77 5.07 -4.03
H 2.93 1.59 -0.71
H 0.00 -0.88 -3.22
H -1.59 -1.45 4.31
H 2.51 -2.03 -2.39
H 5.04 -6.25 0.24
H -3.93 0.75 3.64
H 4.55 2.55 -4.29
H -0.79 3.18 -2.67
H -1.75 4.45 3.74
H 0.85 -3.89 -3.03
H -6.34 -0.82 2.37
H -6.14 -0.94 4.04
H 5.03 0.04 -4.84
H -1.06 4.17 1.57
H 4.88 1.17 3.06
H -6.83 -2.35 3.10
H 1.64 -5.98 -2.32
H 0.12 -3.39 -1.53
H -5.16 -3.03 1.16
H 5.41 1.83 0.73
H 4.12 2.99 0.85
H 3.89 -0.72 2.20
H -2.70 -3.69 0.79
H -3.59 6.43 -3.32
H -4.03 -1.11 4.80
H 2.29 3.28 -3.70
H 3.43 2.29 2.89
H 0.65 1.45 -3.19
H -4.35 6.08 -0.90
H -3.34 0.53 1.27
H 0.88 -1.96 -4.32
```

For the total energy, the calculation gives -3342.45845 Ha. The calculation puts the LUMO energy (spin up / spin down) at 0.44 / -1.53 eV. As for the total charge: 0. The calculation puts the HOMO energy (spin up / spin down) at -7.845 / -7.854 eV. Its spin multiplicity is 6.

=====

Is it possible to add actions, like Highlight or sending a Tweet, to the popup that appears when you select some text from a UIWebView?
Edit: If not, is it possible to obtain the selected text through another way?
Inject it via javascript, then send the location or href to something like "myaction://handleIt" and get it on the shouldLoad.

Customize 'Copy' text popup (UIWebView)?

I'm trying to customize the user text selection behavior in a
UIWebView. Currently, when a user highlights a region of text in a
UIWebView the 'Copy' action sheet appears, allowing you to copy the
text. I would like to perform some custom action on text selection,
effectively replacing the 'Copy' dialog, or adding another option to
the list of options (e.g. 'Copy' | 'Search').
My question is: Is there any Apple-accepted way of doing this? I'd
prefer not to put my app approval in jeopardy, so doing this by the
book is ideal. I've seen similar questions asked about this topic, but
all remain unanswered. Can anyone provide some insight on how to
accomplish this?
The popup you refer to is called a UIMenuController. You can access the [UIMenuController sharedMenuController] method to get the menu controller. You can then add your own UIMenuItems to the menu controller, and these can be shown contextually, using the canPerformAction:withSender: method on the UIWebView. For more info, refer to the iOS Developer Reference on UIMenuController
